[What to do]
Transcribe every line below that contains the word "written".

[Given]
-- begin --
Record 1
NaTi6Se8: optimized geometry, PBE.

Cell and atoms, written as POSCAR:
```
NaTi6Se8
1.0
9.847 0.000 0.000
-4.923 8.527 0.000
0.000 0.000 3.595
Na Ti Se
1 6 8
Direct
0.000 0.000 0.000
0.128 0.492 0.250
0.364 0.872 0.250
0.492 0.364 0.750
0.508 0.636 0.250
0.636 0.128 0.750
0.872 0.508 0.750
0.051 0.704 0.251
0.296 0.346 0.251
0.333 0.667 0.750
0.346 0.051 0.749
0.654 0.949 0.251
0.667 0.333 0.250
0.704 0.654 0.749
0.949 0.296 0.749
```

Energy of formation in eV per atom: -1.43
VASP energy in eV/cell: -94.299
MP2020-corrected energy in eV per atom: -6.538

---

Record 2
NaTi5Se8: optimized geometry, PBE.

Cell and atoms, written as POSCAR:
```
NaTi5Se8
1.0
9.391 -1.794 0.000
9.391 1.794 0.000
-2.401 0.000 8.829
Na Ti Se
1 5 8
Direct
0.000 0.000 0.000
0.150 0.150 0.492
0.210 0.210 0.850
0.500 0.500 0.500
0.790 0.790 0.150
0.850 0.850 0.508
0.074 0.074 0.677
0.258 0.258 0.340
0.341 0.341 0.002
0.417 0.417 0.691
0.583 0.583 0.309
0.659 0.659 0.998
0.742 0.742 0.660
0.926 0.926 0.323
```

Energy of formation in eV per atom: -1.44
VASP energy in eV/cell: -85.138
MP2020-corrected energy in eV per atom: -6.351

---

Record 3
Na4TiSe4: optimized geometry, PBE.

Cell and atoms, written as POSCAR:
```
Na4TiSe4
1.0
14.127 -3.703 0.000
14.127 3.703 0.000
-12.049 0.000 18.060
Na Ti Se
32 8 32
Direct
0.039 0.884 0.789
0.068 0.303 0.864
0.080 0.618 0.563
0.093 0.566 0.980
0.116 0.961 0.711
0.155 0.174 0.685
0.174 0.155 0.185
0.187 0.715 0.493
0.285 0.813 0.007
0.303 0.068 0.364
0.322 0.367 0.826
0.367 0.322 0.326
0.382 0.920 0.937
0.385 0.470 0.223
0.434 0.907 0.520
0.470 0.385 0.723
0.530 0.615 0.277
0.566 0.093 0.480
0.615 0.530 0.777
0.618 0.080 0.063
0.633 0.678 0.674
0.678 0.633 0.174
0.697 0.932 0.636
0.715 0.187 0.993
0.813 0.285 0.507
0.826 0.845 0.815
0.845 0.826 0.315
0.884 0.039 0.289
0.907 0.434 0.020
0.920 0.382 0.437
0.932 0.697 0.136
0.961 0.116 0.211
0.175 0.345 0.628
0.275 0.669 0.097
0.331 0.725 0.403
0.345 0.175 0.128
0.655 0.825 0.872
0.669 0.275 0.597
0.725 0.331 0.903
0.825 0.655 0.372
0.041 0.805 0.137
0.069 0.440 0.187
0.088 0.557 0.413
0.096 0.599 0.711
0.160 0.697 0.337
0.189 0.669 0.967
0.195 0.959 0.363
0.246 0.276 0.024
0.276 0.246 0.524
0.303 0.840 0.163
0.331 0.811 0.533
0.356 0.575 0.630
0.401 0.904 0.789
0.425 0.644 0.870
0.440 0.069 0.687
0.443 0.912 0.087
0.557 0.088 0.913
0.560 0.931 0.313
0.575 0.356 0.130
0.599 0.096 0.211
0.644 0.425 0.370
0.669 0.189 0.467
0.697 0.160 0.837
0.724 0.754 0.476
0.754 0.724 0.976
0.805 0.041 0.637
0.811 0.331 0.033
0.840 0.303 0.663
0.904 0.401 0.289
0.912 0.443 0.587
0.931 0.560 0.813
0.959 0.195 0.863
```

Energy of formation in eV per atom: -1.34
VASP energy in eV/cell: -299.018
MP2020-corrected energy in eV per atom: -4.363

---

Record 4
Na2Ti2Se9: optimized geometry, PBE.

Cell and atoms, written as POSCAR:
```
Na2Ti2Se9
1.0
13.115 0.000 0.000
0.000 15.238 0.000
-1.078 0.000 13.981
Na Ti Se
16 16 72
Direct
0.088 0.000 0.133
0.118 0.410 0.622
0.178 0.944 0.551
0.220 0.476 0.109
0.304 0.704 0.919
0.321 0.773 0.347
0.359 0.177 0.878
0.368 0.182 0.371
0.632 0.682 0.629
0.641 0.677 0.122
0.679 0.273 0.653
0.696 0.204 0.081
0.780 0.976 0.891
0.822 0.444 0.449
0.882 0.910 0.378
0.912 0.500 0.867
0.010 0.715 0.520
0.011 0.706 0.019
0.019 0.706 0.762
0.019 0.718 0.262
0.486 0.471 0.003
0.490 0.970 0.237
0.493 0.962 0.494
0.494 0.474 0.261
0.506 0.974 0.739
0.507 0.462 0.506
0.510 0.470 0.763
0.514 0.971 0.997
0.981 0.206 0.238
0.981 0.218 0.738
0.989 0.206 0.981
0.990 0.215 0.480
0.028 0.086 0.863
0.047 0.104 0.612
0.048 0.331 0.366
0.049 0.088 0.355
0.064 0.309 0.113
0.066 0.326 0.856
0.084 0.860 0.983
0.091 0.813 0.400
0.100 0.617 0.901
0.105 0.570 0.487
0.153 0.827 0.757
0.160 0.129 0.982
0.166 0.148 0.248
0.166 0.734 0.148
0.168 0.707 0.649
0.171 0.272 0.483
0.172 0.255 0.748
0.175 0.615 0.259
0.319 0.962 0.947
0.321 0.034 0.712
0.337 0.365 0.981
0.344 0.484 0.870
0.347 0.461 0.366
0.358 0.983 0.359
0.361 0.349 0.247
0.366 0.456 0.623
0.382 0.589 0.533
-- stop --

[Response]
Cell and atoms, written as POSCAR:
Cell and atoms, written as POSCAR:
Cell and atoms, written as POSCAR:
Cell and atoms, written as POSCAR: